**Wanted:**
Filter the entries further below: keep the lines with the word "stoichiometry".

**Given:**
********
Record 1
The following is a PBE calculation of RbAg2Pb2 after structural relaxation, from Alexandria via LeMat-Bulk.

a b c (Å): 5.0130 5.0130 12.4037
angles (deg): 90.00 90.00 90.00
Closest atoms and distances in Å follow each position.
Space group I4/mmm (No. 139)
Unique sites:
Rb 0.0000 0.0000 0.0000 (multiplicity 2)  8 Ag 3.83, 8 Pb 3.99
Ag 0.0000 0.0000 0.3839 (multiplicity 4)  1 Ag 2.88, 4 Pb 3.01
Pb 0.0000 0.5000 0.2500 (multiplicity 4)  4 Ag 3.01

Results
N(E_F)   6.0 states/eV per cell
Formation energy   0.0299 eV per atom
Energy above the lowest structure with this stoichiometry   0.026 eV/atom
Theoretical density   7.6 Mg/m³

---

Record 2
The following is a PBE calculation of CaIn2Pb after structural relaxation, from Alexandria via LeMat-Bulk.

a b c (Å): 8.7879 8.7879 6.3947
angles (deg): 90.00 90.00 90.00
Closest atoms and distances in Å follow each position.
Space group I-42d (No. 122)
Unique sites:
Ca 0.0000 0.0000 0.0000 (multiplicity 4)  2 Pb 3.20, 4 In 3.37
In 0.2241 0.7500 0.6250 (multiplicity 8)  2 Pb 3.06, 2 In 3.23, 2 Ca 3.37
Pb 0.0000 0.0000 0.5000 (multiplicity 4)  4 In 3.06, 2 Ca 3.20

Results
N(E_F)   11.6 states/eV per cell
Formation energy   -0.1340 eV per atom
Theoretical density   6.4 Mg/m³

---

Record 3
The following is a PBE calculation of Mg3Sc4Be after structural relaxation, from Alexandria via LeMat-Bulk.

a b c (Å): 3.2237 3.2237 16.5259
angles (deg): 90.00 90.00 90.00
Closest atoms and distances in Å follow each position.
Space group P4/mmm (No. 123)
Unique sites:
Mg 0.0000 0.0000 0.0000 (multiplicity 1)  8 Sc 3.21, 4 Mg 3.22
Mg 0.0000 0.0000 0.2710 (multiplicity 2)  8 Sc 3.18-3.22, 4 Mg 3.22
Sc 0.5000 0.5000 0.1368 (multiplicity 2)  8 Mg 3.18-3.21, 4 Sc 3.22
Sc 0.5000 0.5000 0.4087 (multiplicity 2)  4 Be 2.73, 1 Sc 3.02
Be 0.0000 0.0000 0.5000 (multiplicity 1)  8 Sc 2.73

Results
N(E_F)   8.1 states/eV per cell
Formation energy   -0.0366 eV per atom
Theoretical density   2.5 Mg/m³

---

Record 4
The following is a PBE calculation of MnInSn after structural relaxation, from Alexandria via LeMat-Bulk.

a b c (Å): 6.2613 6.3169 12.9809
angles (deg): 90.00 90.00 90.00
Closest atoms and distances in Å follow each position.
Space group Fmmm (No. 69)
Unique sites:
Mn 0.2500 0.2500 0.0000 (multiplicity 8)  4 Sn 2.84, 4 In 2.86, 4 Mn 3.13-3.16
In 0.0000 0.0000 0.1391 (multiplicity 8)  4 Mn 2.86, 5 Sn 2.92-3.16
Sn 0.0000 0.0000 0.3639 (multiplicity 8)  4 Mn 2.84, 5 In 2.92-3.16

Results
N(E_F)   14.4 states/eV per cell
Formation energy   0.0913 eV per atom
Theoretical density   7.5 Mg/m³

---

Record 5
The following is a PBE calculation of CsHf3Nb after structural relaxation, from Alexandria via LeMat-Bulk.

a b c (Å): 5.3277 5.3277 5.3277
angles (deg): 90.00 90.00 90.00
Closest atoms and distances in Å follow each position.
Space group Pm-3m (No. 221)
Unique sites:
Cs 0.0000 0.0000 0.0000 (multiplicity 1)  12 Hf 3.77
Hf 0.0000 0.5000 0.5000 (multiplicity 3)  2 Nb 2.66
Nb 0.5000 0.5000 0.5000 (multiplicity 1)  6 Hf 2.66

Results
N(E_F)   8.9 states/eV per cell
Formation energy   1.1978 eV per atom
Energy above the lowest structure with this stoichiometry   0.000 eV/atom
Theoretical density   8.4 Mg/m³

---

Record 6
The following is a PBE calculation of InHgRu2 after structural relaxation, from Alexandria via LeMat-Bulk.

a b c (Å): 4.3868 3.0480 10.7429
angles (deg): 90.00 90.00 90.00
Closest atoms and distances in Å follow each position.
Space group Amm2 (No. 38)
Unique sites:
In 0.0000 0.0000 0.0000 (multiplicity 2)  7 Ru 2.86-2.95, 2 In 3.05, 4 Hg 3.14
Hg 0.5000 0.0000 0.3464 (multiplicity 2)  7 Ru 2.89-2.97, 2 Hg 3.05, 4 In 3.14
Ru 0.0000 0.0000 0.7252 (multiplicity 2)  2 Ru 2.48
Ru 0.5000 0.0000 0.6173 (multiplicity 2)  2 Ru 2.48

Results
N(E_F)   8.8 states/eV per cell
Formation energy   0.4199 eV per atom
Energy above the lowest structure with this stoichiometry   0.192 eV/atom
Theoretical density   12.0 Mg/m³

---

Record 7
********

**Done:**
Energy above the lowest structure with this stoichiometry   0.026 eV/atom
Energy above the lowest structure with this stoichiometry   0.000 eV/atom
Energy above the lowest structure with this stoichiometry   0.192 eV/atom